The Past, Present and Future of Psalm133 (16 Sep 2018)

Behold, how good and how pleasant it is
For brothers to dwell together in unity!
It is like the precious oil upon the head,
Coming down upon the beard,
Even Aaron’s beard,
Coming down upon the edge of his robes.
It is like the dew of Hermon
Coming down upon the mountains of Zion;
For there the Lord commanded the blessing—life forever. 

2 Questions

1)    What motivated King David to write Psalm 133?

## Records of molecules, kept here for reference
The following is a quantum chemistry calculation of C27H63N4O9V as an isolated structure in a non-equilibrium geometry, from the Open Molecules 2025 dataset.

XYZ file:
```
104
Properties=species:S:1:pos:R:3:forces:R:3:lowdin_charge:R:1
C 1.784 -0.620 -5.648 -0.1 -0.9 -0.8 -0.242
H 1.474 0.609 3.536 -0.2 0.1 -0.3 0.082
H 2.477 -0.392 -4.839 0.1 -0.2 0.5 0.111
H 1.780 8.228 3.575 0.2 0.1 -0.1 0.078
C 2.110 -2.796 -1.195 -0.9 -0.8 1.9 -0.154
C 2.178 0.938 -1.848 1.1 0.8 1.0 -0.197
H -4.423 -0.904 -0.689 0.0 0.3 0.1 0.068
H 0.513 8.671 4.685 -0.3 -0.6 0.2 0.081
C -3.458 -2.743 -0.239 1.1 -1.4 0.5 -0.482
H -0.062 -0.400 -4.308 -0.5 0.0 0.0 0.080
C 0.850 -1.800 -5.377 1.1 1.5 0.4 -0.193
O 0.992 0.506 -5.913 -0.2 0.3 -0.8 -0.196
H -2.496 1.452 -4.806 0.0 -0.1 -0.2 0.088
H 1.278 -3.498 -1.127 -0.3 0.1 -0.6 0.126
H -1.787 -0.920 3.930 -0.6 -0.1 -0.1 0.084
C 3.664 0.449 5.068 0.0 0.0 0.9 -0.115
O 2.604 1.383 5.021 0.4 0.4 0.7 -0.191
O 0.487 0.115 1.440 -0.6 -0.7 -1.8 -0.352
C -2.556 0.439 -4.408 -0.2 -0.2 -0.5 -0.082
H 0.807 3.253 0.162 0.4 -0.5 0.5 0.091
H -5.366 -1.239 1.215 -0.1 0.0 -0.4 0.097
H -5.498 -3.268 -0.382 -0.3 0.2 0.0 0.115
V 0.209 -0.661 0.038 -2.8 -0.8 1.1 0.918
C 0.825 2.664 3.822 -0.3 -1.3 -0.4 -0.209
O 1.938 -2.086 1.143 0.1 -0.8 -1.4 -0.241
C -3.648 -1.532 -1.127 -1.1 1.0 0.1 -0.046
H -1.811 -0.002 1.298 -0.3 0.0 0.0 0.033
H 3.987 0.424 6.109 -0.1 0.2 0.1 0.084
C -4.768 -3.200 0.424 -0.3 0.9 -0.1 -0.148
C 2.660 -0.480 -1.502 0.7 1.2 -0.9 -0.173
H 2.151 8.527 5.283 0.2 -0.2 0.2 0.080
H 3.277 -0.475 -0.603 -0.5 0.1 0.3 0.133
H -4.484 -1.592 3.400 0.4 0.5 0.1 0.119
H 2.375 1.207 -7.286 -0.2 0.3 -0.3 0.088
N 1.562 -1.453 -1.491 2.0 -0.4 0.5 -0.082
H -3.898 -4.144 -1.911 -0.5 -0.2 0.5 0.081
H 3.074 6.067 5.331 0.8 0.5 -0.4 0.129
C 1.754 1.576 -6.470 0.0 -0.4 1.2 -0.076
H -3.559 0.049 1.050 0.0 -0.4 -0.2 0.076
H -1.849 -2.156 -6.207 0.2 -0.5 0.1 0.108
N 1.277 3.995 3.468 0.3 -0.4 1.1 -0.032
H 0.032 2.434 3.110 0.3 -0.6 -0.4 0.109
H -1.761 0.360 -3.666 -0.2 -0.2 0.3 0.064
C -2.772 -0.302 1.717 -0.2 1.6 -0.1 -0.058
H 3.511 -2.183 2.346 0.2 0.0 0.6 0.093
H 1.426 -1.494 -2.491 -2.0 0.0 -0.5 0.086
H 4.577 0.682 4.521 -0.2 0.5 -0.6 0.084
H 3.023 4.021 4.731 -0.1 -0.7 -0.5 0.126
H -4.099 -1.804 -2.082 0.3 -0.2 -0.2 0.079
O -2.406 -0.466 -5.503 0.4 1.0 0.5 -0.194
O -0.732 0.197 -0.952 0.8 -0.8 1.1 -0.342
H 2.823 -3.942 0.470 -1.0 -0.3 0.3 0.130
H -2.896 0.323 2.601 0.0 0.0 0.2 0.086
N 0.089 -1.395 -4.220 -0.1 -1.1 -0.2 -0.059
H 3.768 -2.659 0.222 0.2 1.1 0.1 0.115
H 2.623 1.869 3.023 0.2 -0.1 -0.3 0.125
H 1.464 -2.674 -5.162 -0.1 -0.2 0.0 0.121
H -4.078 -3.193 3.085 0.5 -0.3 -0.2 0.116
C -2.739 -1.760 2.088 -0.5 0.5 -0.6 -0.481
H 2.116 -1.549 3.248 -0.4 0.9 -1.1 0.069
C 2.428 -2.232 2.458 0.9 -0.6 0.6 -0.082
H -6.174 -2.599 1.927 0.1 0.0 0.4 0.110
H 2.157 -3.174 2.934 0.0 -0.6 -0.6 0.100
H 1.336 3.432 -1.434 0.3 -0.1 -0.4 0.083
H 1.545 4.306 5.565 -0.3 -0.2 0.2 0.131
H -1.749 -2.710 3.831 -0.5 -0.1 0.2 0.079
H 3.417 -0.594 4.871 -0.6 0.0 -0.5 0.067

2)    What has Unity to do with Life Forever?

The Past

He starts off by making a statement – how wonderful brotherly unity is. And, without asking the
question ‘what is unity like?’,  he answers it by saying ‘It is like……..’.  In order to understand what this unity is, we need to go back to his past experience and especially his experience with Jonathan, son of Saul.

As a principle, every spiritual experience that we have that has anything of notable  eternal value, always has its beginnings (the source) with God. It is God who initiates, and in 1Samuel 18vs1, He initiates the uniting of the soul of Jonathan with the soul of David. What was God’s purpose in doing this? Interestingly, it was to be a Prophetic Enactment of what God was intending to do a thousand years later, and beyond.

This unity that David and Jonathan experienced under the Hand of God, was to David, better than the love of women –  2 Samuel 1 vs 26.

“I am distressed for you, my brother Jonathan;
You have been very pleasant to me.
Your love to me was more wonderful
than the love of women.”

This unity was not homosexual in nature. He was saying, it was better than the love of women. And because it was so much better, David compared it to the anointing of Aaron the High Priest. Why did David compare unity to the anointing of Aaron? Aaron the High Priest represented the nation of Israel. On the day of Atonement, Aaron stood before God representing the whole nation of Israel – as One. It was a poignant reminder of their oneness as a nation.

The Present – prophetic fulfilment of Psalm 133.

The elaborate description of the oil upon the head, coming down upon the beard, even Aaron’s beard is where we come to the Prophetic nature of this Psalm. When we compare what Jesus (our High Priest) accomplished on the cross for us, He (the Head), was anointed with the Holy Spirit (the precious oil)  which He then poured out upon His waiting disciples of 120 disparate men and women (down to the edge of His robes) – making them One on the day of Pentecost. It was a prophetic description of the birth of the Church united as ONE with the Head!  Acts 2.

King David could not have envisaged what Christ would do a thousand years later but in his attempt to describe the unity which he experienced, God used it prophetically to  His purpose.

And, what was the content of the High Priestly prayer of Jesus in the Gospel of John 17? Is it not about the love of the brethren, Unity and Life Forever that Jesus accomplished through His death? Is it not what King David was trying to describe in his relationship with Jonathan?

The Future of Psalm 133

The second question,  – what has unity normally to do with life forever? NOTHING. It can only be possible through Jesus. No amount of unity can ever produce life forever. Yet in Jesus, we have Unity and we have His Life. And that Unity and Life Forever will truly only be fully realised when the Consummation (Ephesians 5:31,32) of the ages takes place i.e. when Christ Jesus comes for His bride, and, even beyond the Millennial reign of Christ. Much of this the Lord has yet to reveal. This is our future and hope.


Brother Steve Yap